# Given
<<<
# Sr2HoTaO6 | Materials Project | PBE | relaxed
data_Sr2HoTaO6
_chemical_formula_sum 'Sr4 Ho2 Ta2 O12'
_cell_length_a 5.825
_cell_length_b 5.952
_cell_length_c 10.136
_cell_angle_alpha 90.00
_cell_angle_beta 124.94
_cell_angle_gamma 90.00
_space_group_name_H-M_alt 'P 1 21/c 1'
_space_group_IT_number 14
_space_group_name_Hall '-P 2ybc'
loop_
_atom_site_label
_atom_site_type_symbol
_atom_site_fract_x
_atom_site_fract_y
_atom_site_fract_z
Sr1 Sr 0.241 0.042 0.252
Ho1 Ho 0.500 0.000 0.000
Ta1 Ta 0.000 0.000 0.500
O1 O 0.151 0.226 0.954
O2 O 0.236 0.698 0.961
O3 O 0.315 0.025 0.735
# mass density: 7.12 g cm⁻³

***

# LuFe5P3 | Materials Project | PBE | relaxed
data_LuFe5P3
_chemical_formula_sum 'Lu4 Fe20 P12'
_cell_length_a 11.748
_cell_length_b 3.631
_cell_length_c 10.215
_cell_angle_alpha 90.00
_cell_angle_beta 90.00
_cell_angle_gamma 90.00
_space_group_name_H-M_alt 'P n m a'
_space_group_IT_number 62
_space_group_name_Hall '-P 2ac 2n'
loop_
_atom_site_label
_atom_site_type_symbol
_atom_site_fract_x
_atom_site_fract_y
_atom_site_fract_z
Lu1 Lu 0.205 0.250 0.082
Fe1 Fe 0.010 0.750 0.094
Fe2 Fe 0.013 0.750 0.708
Fe3 Fe 0.067 0.750 0.463
Fe4 Fe 0.177 0.250 0.781
Fe5 Fe 0.200 0.250 0.377
P1 P 0.106 0.750 0.900
P2 P 0.114 0.250 0.579
P3 P 0.129 0.750 0.265
# mass density: 8.34 g cm⁻³

***

# HgTeO3F | Materials Project | PBE | relaxed
data_HgTeO3F
_chemical_formula_sum 'Hg4 Te4 O12 F4'
_cell_length_a 8.087
_cell_length_b 7.912
_cell_length_c 6.259
_cell_angle_alpha 90.00
_cell_angle_beta 90.00
_cell_angle_gamma 90.00
_space_group_name_H-M_alt 'P c a 21'
_space_group_IT_number 29
_space_group_name_Hall 'P 2c -2ac'
loop_
_atom_site_label
_atom_site_type_symbol
_atom_site_fract_x
_atom_site_fract_y
_atom_site_fract_z
Hg1 Hg 0.140 0.115 0.000
Te1 Te 0.114 0.693 0.155
O1 O 0.113 0.295 0.768
O2 O 0.174 0.922 0.220
O3 O 0.213 0.618 0.440
F1 F 0.003 0.235 0.386
# mass density: 6.55 g cm⁻³

***

# LuB4Ru | Materials Project | PBE | relaxed
data_LuB4Ru
_chemical_formula_sum 'Lu4 B16 Ru4'
_cell_length_a 5.910
_cell_length_b 11.418
_cell_length_c 3.520
_cell_angle_alpha 90.00
_cell_angle_beta 90.00
_cell_angle_gamma 90.00
_space_group_name_H-M_alt 'P b a m'
_space_group_IT_number 55
_space_group_name_Hall '-P 2 2ab'
loop_
_atom_site_label
_atom_site_type_symbol
_atom_site_fract_x
_atom_site_fract_y
_atom_site_fract_z
Lu1 Lu 0.130 0.150 0.000
B1 B 0.023 0.693 0.500
B2 B 0.113 0.547 0.500
B3 B 0.135 0.970 0.500
B4 B 0.209 0.814 0.500
Ru1 Ru 0.142 0.407 0.000
# mass density: 8.93 g cm⁻³

***

Per-record formation energy, eV/atom: -3.6121, -0.7523, -1.2935, -0.6547


A geometry-optimized VPH11O9 structure. Source: Materials Project, functional PBE with a Hubbard U.

energy = -5.05 eV per atom

Unit cell a=12.574 b=12.574 c=6.487 alpha=90.00 beta=90.00 gamma=90.00
Atoms (fractional coordinates):
V: 0.048 0.330 0.000
V: 0.330 0.952 0.250
V: 0.670 0.048 0.750
V: 0.952 0.670 0.500
P: 0.073 0.413 0.498
P: 0.413 0.927 0.748
P: 0.587 0.073 0.248
P: 0.927 0.587 0.998
H: 0.057 0.084 0.510
H: 0.084 0.943 0.760
H: 0.110 0.834 0.921
H: 0.127 0.794 0.398
H: 0.143 0.784 0.919
H: 0.157 0.673 0.398
H: 0.166 0.110 0.671
H: 0.206 0.127 0.148
H: 0.210 0.450 0.883
H: 0.216 0.143 0.669
H: 0.221 0.633 0.837
H: 0.226 0.455 0.361
H: 0.272 0.639 0.895
H: 0.327 0.157 0.148
H: 0.358 0.385 0.058
H: 0.361 0.272 0.645
H: 0.367 0.221 0.587
H: 0.385 0.642 0.308
H: 0.404 0.485 0.458
H: 0.450 0.790 0.133
H: 0.455 0.774 0.611
H: 0.485 0.596 0.708
H: 0.515 0.404 0.208
H: 0.545 0.226 0.111
H: 0.550 0.210 0.633
H: 0.596 0.515 0.958
H: 0.615 0.358 0.808
H: 0.633 0.779 0.087
H: 0.639 0.728 0.145
H: 0.642 0.615 0.558
H: 0.673 0.843 0.648
H: 0.728 0.361 0.395
H: 0.774 0.545 0.861
H: 0.779 0.367 0.337
H: 0.784 0.857 0.169
H: 0.790 0.550 0.383
H: 0.794 0.873 0.648
H: 0.834 0.890 0.171
H: 0.843 0.327 0.898
H: 0.857 0.216 0.419
H: 0.873 0.206 0.898
H: 0.890 0.166 0.421
H: 0.916 0.057 0.260
H: 0.943 0.916 0.010
O: 0.016 0.520 0.499
O: 0.048 0.347 0.309
O: 0.059 0.349 0.696
O: 0.098 0.210 0.016
>>>

# What to do
What is needed: copy the calculation results further up without additions.

# Outcome
# Sr2HoTaO6 | Materials Project | PBE | relaxed
data_Sr2HoTaO6
_chemical_formula_sum 'Sr4 Ho2 Ta2 O12'
_cell_length_a 5.825
_cell_length_b 5.952
_cell_length_c 10.136
_cell_angle_alpha 90.00
_cell_angle_beta 124.94
_cell_angle_gamma 90.00
_space_group_name_H-M_alt 'P 1 21/c 1'
_space_group_IT_number 14
_space_group_name_Hall '-P 2ybc'
loop_
_atom_site_label
_atom_site_type_symbol
_atom_site_fract_x
_atom_site_fract_y
_atom_site_fract_z
Sr1 Sr 0.241 0.042 0.252
Ho1 Ho 0.500 0.000 0.000
Ta1 Ta 0.000 0.000 0.500
O1 O 0.151 0.226 0.954
O2 O 0.236 0.698 0.961
O3 O 0.315 0.025 0.735
# mass density: 7.12 g cm⁻³

***

# LuFe5P3 | Materials Project | PBE | relaxed
data_LuFe5P3
_chemical_formula_sum 'Lu4 Fe20 P12'
_cell_length_a 11.748
_cell_length_b 3.631
_cell_length_c 10.215
_cell_angle_alpha 90.00
_cell_angle_beta 90.00
_cell_angle_gamma 90.00
_space_group_name_H-M_alt 'P n m a'
_space_group_IT_number 62
_space_group_name_Hall '-P 2ac 2n'
loop_
_atom_site_label
_atom_site_type_symbol
_atom_site_fract_x
_atom_site_fract_y
_atom_site_fract_z
Lu1 Lu 0.205 0.250 0.082
Fe1 Fe 0.010 0.750 0.094
Fe2 Fe 0.013 0.750 0.708
Fe3 Fe 0.067 0.750 0.463
Fe4 Fe 0.177 0.250 0.781
Fe5 Fe 0.200 0.250 0.377
P1 P 0.106 0.750 0.900
P2 P 0.114 0.250 0.579
P3 P 0.129 0.750 0.265
# mass density: 8.34 g cm⁻³

***

# HgTeO3F | Materials Project | PBE | relaxed
data_HgTeO3F
_chemical_formula_sum 'Hg4 Te4 O12 F4'
_cell_length_a 8.087
_cell_length_b 7.912
_cell_length_c 6.259
_cell_angle_alpha 90.00
_cell_angle_beta 90.00
_cell_angle_gamma 90.00
_space_group_name_H-M_alt 'P c a 21'
_space_group_IT_number 29
_space_group_name_Hall 'P 2c -2ac'
loop_
_atom_site_label
_atom_site_type_symbol
_atom_site_fract_x
_atom_site_fract_y
_atom_site_fract_z
Hg1 Hg 0.140 0.115 0.000
Te1 Te 0.114 0.693 0.155
O1 O 0.113 0.295 0.768
O2 O 0.174 0.922 0.220
O3 O 0.213 0.618 0.440
F1 F 0.003 0.235 0.386
# mass density: 6.55 g cm⁻³

***

# LuB4Ru | Materials Project | PBE | relaxed
data_LuB4Ru
_chemical_formula_sum 'Lu4 B16 Ru4'
_cell_length_a 5.910
_cell_length_b 11.418
_cell_length_c 3.520
_cell_angle_alpha 90.00
_cell_angle_beta 90.00
_cell_angle_gamma 90.00
_space_group_name_H-M_alt 'P b a m'
_space_group_IT_number 55
_space_group_name_Hall '-P 2 2ab'
loop_
_atom_site_label
_atom_site_type_symbol
_atom_site_fract_x
_atom_site_fract_y
_atom_site_fract_z
Lu1 Lu 0.130 0.150 0.000
B1 B 0.023 0.693 0.500
B2 B 0.113 0.547 0.500
B3 B 0.135 0.970 0.500
B4 B 0.209 0.814 0.500
Ru1 Ru 0.142 0.407 0.000
# mass density: 8.93 g cm⁻³

***

Per-record formation energy, eV/atom: -3.6121, -0.7523, -1.2935, -0.6547


A geometry-optimized VPH11O9 structure. Source: Materials Project, functional PBE with a Hubbard U.

energy = -5.05 eV per atom

Unit cell a=12.574 b=12.574 c=6.487 alpha=90.00 beta=90.00 gamma=90.00
Atoms (fractional coordinates):
V: 0.048 0.330 0.000
V: 0.330 0.952 0.250
V: 0.670 0.048 0.750
V: 0.952 0.670 0.500
P: 0.073 0.413 0.498
P: 0.413 0.927 0.748
P: 0.587 0.073 0.248
P: 0.927 0.587 0.998
H: 0.057 0.084 0.510
H: 0.084 0.943 0.760
H: 0.110 0.834 0.921
H: 0.127 0.794 0.398
H: 0.143 0.784 0.919
H: 0.157 0.673 0.398
H: 0.166 0.110 0.671
H: 0.206 0.127 0.148
H: 0.210 0.450 0.883
H: 0.216 0.143 0.669
H: 0.221 0.633 0.837
H: 0.226 0.455 0.361
H: 0.272 0.639 0.895
H: 0.327 0.157 0.148
H: 0.358 0.385 0.058
H: 0.361 0.272 0.645
H: 0.367 0.221 0.587
H: 0.385 0.642 0.308
H: 0.404 0.485 0.458
H: 0.450 0.790 0.133
H: 0.455 0.774 0.611
H: 0.485 0.596 0.708
H: 0.515 0.404 0.208
H: 0.545 0.226 0.111
H: 0.550 0.210 0.633
H: 0.596 0.515 0.958
H: 0.615 0.358 0.808
H: 0.633 0.779 0.087
H: 0.639 0.728 0.145
H: 0.642 0.615 0.558
H: 0.673 0.843 0.648
H: 0.728 0.361 0.395
H: 0.774 0.545 0.861
H: 0.779 0.367 0.337
H: 0.784 0.857 0.169
H: 0.790 0.550 0.383
H: 0.794 0.873 0.648
H: 0.834 0.890 0.171
H: 0.843 0.327 0.898
H: 0.857 0.216 0.419
H: 0.873 0.206 0.898
H: 0.890 0.166 0.421
H: 0.916 0.057 0.260
H: 0.943 0.916 0.010
O: 0.016 0.520 0.499
O: 0.048 0.347 0.309
O: 0.059 0.349 0.696
O: 0.098 0.210 0.016